Life goes on - Summer 2014

If there is a muddy place anywhere around seems like I can find it .

Yea we are stuck !!

But the International wood burner to be brought it right out .

Wayne, I think you hold the record for mud … Post a link to the pictures from your porch last time I was there if you can find the pics :o) … We’re off to Lake Michigan in the morning for a couple of days … If my computer works there, I’ll check in … Thanks, ML
PS, ain’t it fun at our age(s) to have to deal with that crap (mud) … I got my pants covered with green manure yesterday … I’m not sure if it was cow or amish horse … I never saw it but I sure smelled it …

Wayne, Obviously you misjudged that creek bank. At least you didn’t have $20,000 or so of survey equipment in the truck that got stuck :o) … I haven’t got fully stuck in years. The last time was about 4 years ago … We have problems when the frost comes out of the ground … I finally managed to slide down the hill a bit and then goosed it downhill till I got to a still frozen hayfield … Left a lot of ruts but the landowner was happy I got out on my own as he couldn’t find his chain and his skid steer couldn’t get close to me … Mine is still in his mud somewhere … I just bought a new one … ML

That lake might not have been inviting today, but it will be soon I’m sure.

Same here , cool and wet. Going to spend the weekend at the lake, hope it warms up. Going crappie fishing in the mornings and take the [party in slow motion] boat out Saturday. They have a band on a platform on the lake and there will be a couple hundred boats all tied together. Lots of people come to our boat and go down the double slide off the back and jump off the top deck. Lots of good scenery [ if you know what I mean]…LOL


Hey Mike ,

At our age(s) maybe you should double check before putting blame cow or horse !

Took the wood burner tonight to a music gig at a state park, about 90 mile round trip. Ran real good, but I waited to get there to put on stage clothes.

Noticed another wood truck on the way over - this one hauling a lot more fuel than I was!!

That’s a lot of fuel Chris. Implement some innovations on your V8 chunker and you can break that down to usable sized chunks.

____________
Entry from Alexandria: crystalline Sc6RuPt5 at its relaxed geometry (PBE-GGA).

M_tot	0.0	μB/f.u.
ΔE_f	-13.76	eV/f.u.
N(E_F)	0.5018	states/eV per atom

Unit cell a=4.6926 b=14.0917 c=6.4249 alpha=90.00 beta=90.00 gamma=90.00
With the nearest neighbours (Å) after each atom.
Space group Cmmm (No. 65)
Inequivalent atoms, fractional coordinates:
Sc: 0.0000 0.0000 0.2478 [4 per cell]  6 Pt 2.79-2.87, 2 Ru 2.84
Sc: 0.0000 0.3347 0.2475 [8 per cell]  1 Ru 2.82, 7 Pt 2.83-2.90
Ru: 0.0000 0.5000 0.0000 [2 per cell]  8 Sc 2.82-2.84
Pt: 0.0000 0.1625 0.0000 [4 per cell]  8 Sc 2.79-2.90
Pt: 0.0000 0.1684 0.5000 [4 per cell]  8 Sc 2.85-2.87
Pt: 0.0000 0.5000 0.5000 [2 per cell]  8 Sc 2.84-2.85

----------

No. 1
## Th2Al5Zn3 (PBE-GGA)

Data for crystalline Th2Al5Zn3 at its relaxed geometry.

```
data_Th2Al5Zn3
_space_group_name_H-M_alt 'I b a m'
_space_group_IT_number 72
_space_group_name_Hall '-I 2 2c'
_cell_length_a 10.8157
_cell_length_b 12.0859
_cell_length_c 6.0025
_cell_angle_alpha 90.00
_cell_angle_beta 90.00
_cell_angle_gamma 90.00
loop_
_atom_site_label
_atom_site_type_symbol
_atom_site_fract_x
_atom_site_fract_y
_atom_site_fract_z
Th1 Th 0.2473 0.1272 0.0000
Al1 Al 0.0000 0.2573 0.2500
Al2 Al 0.0000 0.5000 0.2500
Al3 Al 0.1348 0.1234 0.5000
Zn1 Zn 0.0000 0.0000 0.2500
Zn2 Zn 0.1385 0.3785 0.0000
```

Crystal system: orthorhombic



No. 2
## Th3Al4Zn2 (PBE-GGA)

Data for crystalline Th3Al4Zn2 at its relaxed geometry.

```
data_Th3Al4Zn2
_space_group_name_H-M_alt 'C 1 2/m 1'
_space_group_IT_number 12
_cell_length_a 10.9429
_cell_length_b 4.5463
_cell_length_c 8.7417
_cell_angle_alpha 90.00
_cell_angle_beta 110.28
_cell_angle_gamma 90.00
loop_
_space_group_symop_operation_xyz
'x,y,z'
'-x,-y,-z'
'-x,y,-z'
'x,-y,z'
'x+1/2,y+1/2,z'
'-x+1/2,-y+1/2,-z'
'-x+1/2,y+1/2,-z'
'x+1/2,-y+1/2,z'
loop_
_atom_site_label
_atom_site_type_symbol
_atom_site_fract_x
_atom_site_fract_y
_atom_site_fract_z
Th1 Th 0.0000 0.0000 0.0000
Th2 Th 0.1653 0.5000 0.6670
Al1 Al 0.0582 0.0000 0.3898
Al2 Al 0.2214 0.5000 0.0572
Zn1 Zn 0.1131 0.5000 0.2801
```

Crystal system: monoclinic



No. 3
## ThAl2Zn9 (PBE-GGA)

Data for crystalline ThAl2Zn9 at its relaxed geometry.

```
data_ThAl2Zn9
_space_group_name_H-M_alt 'I 41/a m d'
_space_group_IT_number 141
_cell_length_a 10.6032
_cell_length_b 10.6032
_cell_length_c 7.0673
_cell_angle_alpha 90.00
_cell_angle_beta 90.00
_cell_angle_gamma 90.00
loop_
_space_group_symop_operation_xyz
'x,y,z'
'-x,-y,-z'
'-y+1/4,x+3/4,z+1/4'
'y+1/4,-x+3/4,-z+1/4'
'-x+1/2,-y,z+1/2'
'x+1/2,y,-z+1/2'
'y+1/4,-x+1/4,z+3/4'
'-y+1/4,x+1/4,-z+3/4'
'x,-y,-z'
'-x,y,z'
'-y+1/4,-x+1/4,-z+3/4'
'y+1/4,x+1/4,z+3/4'
'-x+1/2,y,-z+1/2'
'x+1/2,-y,z+1/2'
'y+1/4,x+3/4,-z+1/4'
'-y+1/4,-x+3/4,z+1/4'
'x+1/2,y+1/2,z+1/2'
'-x+1/2,-y+1/2,-z+1/2'
'-y+3/4,x+1/4,z+3/4'
'y+3/4,-x+1/4,-z+3/4'
'-x,-y+1/2,z'
'x,y+1/2,-z'
'y+3/4,-x+3/4,z+1/4'
'-y+3/4,x+3/4,-z+1/4'
'x+1/2,-y+1/2,-z+1/2'
'-x+1/2,y+1/2,z+1/2'
'-y+3/4,-x+3/4,-z+1/4'
'y+3/4,x+3/4,z+1/4'
'-x,y+1/2,-z'
'x,-y+1/2,z'
____________
# So much for the records of crystals

That was just to cool on so many levels!
I think you could make one awesome TV show.
That Tally is one lucky young man.
Great stuff Mr Wayne.


Hello Terry L ,

Thanks for the kind comments ,

Sometime Tally may wish he had a normal person for a Dad . LOL.

You seem to like the videos so I thought I would put one here on the open forum so others could laugh with you .


Seeing you riding along with you hat waving and you bib overalls, reminded me of a couple of years back when I was young and TV hadn’t been invented yet we use to listen to the radio at night. I don’t remember the name of the show but it was about Hill billys.
Maw says, " Hey Pa! The garbage man is here".
Pa says, " Well tell him to leave a bucket."
No offense meant. It just brought up an old memory of good old days.

now that’s a chunk of wood I,m starting to swet just looking at it.

Wayne: Dakota on a trailer powering the tractor pulling the trailer. Classic.

It’s a bit Meta, but technically, both the tractor AND Dakota were being driven by a “Trailer Mounted Gasifier”. :slight_smile:

When I signed up with DOW, I was still involved with the city “club scene”, as well as a few circles I’d rather not mention here. Such “scenes”/circles seemed to attract the rather crazy sort of folk. At the time, I was a tad on the crazy side of folk myself.

Anyways, stupid drama from said crazy people ended up on my Mom’s door step, looking for me. Considering my dad is from Finland, not a lot of “Hamalainen” in the phonebook. Only 2 actually, and both are my long-divorced parents. When crazy possessive boyfriend of crazy manipulative girl showed up on 65-year-old Mother’s doorstep looking to “draw the lines” with me, I knew it had to change.

I scrubbed most of my full last name from ALL of my online/casual contact with people. Hence the innocuous name “Brian Ham”, which I’ve kept for 5 years now.

These days, I live a much different life, having cut ties with almost all of my old life and crazy circles. I make it a fairly big point to avoid crazy people who attract crazy drama.

Total weirdos that drive explosive Carbon Monoxide Gas generators, well, they are the exception. :slight_smile:

Since I’m no longer in those crazy circles and more selective of my friends, I don’t need to be as worried about crazy people. It has long been time to switch back to my full name.

Hello, my name is Brian Hamalainen.

Well hello to you Brian Hamalainen
It takes each of us a journey to grow into being a true Human Being. And we each of us only have just one lifetime to get it done. Sometimes it does take a past chosen you flushing reset. Glad you are now on your way.
Steve Unruh

It’s been a while since I have really “injured” myself. I’ve had a few cuts that actually needed a bandaid, but no cuts that needed way more than a bandaid.

…That was until this last Saturday… Long story short, I was carving on a big stick (making a handmade wooden pitch-fork) with a very sharp knife. My Carpal-Tunnel decided it didn’t want me to hold onto that stick, but jerk my off-hand forword instead.

The knife, still stuck in the branch, caught the tip of my thumb on the way down. It sliced in at a 45 degree angle across most of the tip of my thumb, just past the nail. I pulled the knife out, set it down, and looked at the cut. “Wow. That is deep, but very clean. It’s not even blee- Oh now it’s bleeding…”

Even pinching my wrist artery and holding my hand up, I still was dripping an almost solid stream of blood from the tailgate of my truck, where I was working, to the open passenger seat of my truck, where I knew there was a fast-food bag with (mostly) clean napkins.

About a minute of holding my hand above my head with my armpit artery pinched, and 3 totally drenched/dripping napkins later, I got the bleeding to slow to an ooze. I knew standard bandaids wouldn’t cut it, pardon the bad pun, so I drove myself to the ER.

Some Saline rinse, a Tetanus shot (the worst part, in my book), and a few drips of “Bio-glue” and I was on the way out. Almost needed stitches, but narrowly dodged.

In the end, it looks like I mostly sliced off a flap of flesh about the area of “index finger” nail.

And now it’s started to show signs of infection. Great, since I can’t use an of the standard cleaning methods without compromizing the bio-glue that is holding the tip of my thumb on.


One doesn’t realize just how much one uses the tip of their off-hand thumb, until one can’t use it for anything. Grabbing things between my middle finger and palm is great for my Carpal-Tunnel…

If anybody WANTS to see my cut, which is somewhat gory (you have been warned) PICTURE WITH BLOOD and POST ER CLEANING, MUCH LESS BLOOD

I had to use more gasoline tonight and I enjoyed it !!

I had to abandon my ole John Deere and out run a swarm of bees through a brier thicket late today while bushoging . Not fun . I paid them a visit just about dark and gave them a dose of 87 octane .

Most folks measure gasoline at miles per gallon but seems like the gasoline I have used in the last week would be measured with dead bees per gallon .

I had a couple run ins with the bees the last two days myself Wayne. Last night while purging a corner of the shop and carrying some old ford tailgates to the shed I was attacked and stung 20-30 times. it seems they fly faster than I run, and sting faster than I can swat. then today as I was strapping a load of wood at the veneer plant some more found me only got stung twice today but in the face. I’m glad it was only bees and not rattle snakes.

Hey our birds have grown since early May.
These do not photo well as selected for predator resistance.
The all white “sport” is showing to be an Americana easter-egg hen. One of the Marans was mis-sexed and turning into a huge rooster. He is so deep voiced he chortles like a goose. And one of the mostly all back Wynadottes crippled in teen-ager horseplay turned lazy refusing to get up out of his own shit and corruption. I became worried of him sickening and disease-ing the rest so he is neck wrung now and sent on his chosen way. That makes only 2 lost out of 25 started. Petty good I think.
Out and about now will sooner or later come a coyote attack. And that will be the final smartening up of the true survivors. Then they will all strat roosting properly safe. All in all pretty pleased with my momming. Ha! Ha! I am just not able to demonstrate roosting to them.
Even the two flighty bantee hens hatched out small clutches yesterday.
Getting real lively around here now.
My wife is loving all this new young blood vigor.
She then feeds me well.
(hide your good lump charcoal fellows!)
Steve Unruh

Remind me not to be complaining about a bunch of bees !!

Bees aren’t so bad 'eh?

I’m not too familiar with nasty snakes, (we just don’t have many up here) so i’m not sure what kinda slider that is - can ya grill it? Steve’s Chicken in the next photo up is probably tastier though…

Regardless, I really hate snakes - The ONLY good snake is a dead one.